### Source
-- begin --
21
Properties=species:S:1:pos:R:3:lowdin_charge:R:1 method="wB97M-V/def2-TZVPD" homo_lumo_gap_ev="9.16 / 7.05" homo_ev="-14.885 / -14.491" total_charge=+1 spin_multiplicity=2
C -1.58013 0.14249 -1.27225 -0.23
C -2.30146 0.47835 0.01687 -0.07
C -0.02725 0.13198 -1.10280 -0.17
N 0.39785 -0.56245 0.12592 -0.09
C -0.33955 -1.88385 0.26221 0.17
C 1.78141 -0.25878 0.39549 -0.07
C 1.99455 1.28343 1.31171 -0.21
O 3.12863 1.84742 1.09783 0.13
H -1.64673 -0.89231 -1.66279 0.11
H -1.89067 0.70964 -2.15931 0.12
H -2.02386 -0.38690 0.67539 0.06
H -3.37484 0.52134 -0.10827 0.09
H -1.87009 1.31632 0.56033 0.08
H 0.33131 1.17402 -1.04493 0.13
H 0.35638 -0.42487 -1.97567 0.16
H 1.16870 1.93156 0.81566 0.16
H -0.47916 -1.96618 1.33286 0.09
H 0.24021 -2.65243 -0.22469 0.10
H 2.06374 -1.11074 1.10658 0.14
H 2.43732 -0.44174 -0.47611 0.15
H 1.63362 1.04370 2.32597 0.14

---

22
Properties=species:S:1:pos:R:3:lowdin_charge:R:1 method="wB97M-V/def2-TZVPD" homo_lumo_gap_ev=8.86 homo_ev=-8.250
C 0.01159 -0.43224 -1.20268 -0.57
C -1.09696 -1.37189 -1.68310 -0.03
C 0.55443 0.42394 -2.34561 -0.03
O 1.07963 -1.18351 -0.59671 -0.01
C -0.49167 0.47487 -0.09661 -0.36
N -0.38460 1.67251 0.10679 0.13
H 1.35114 -1.86820 -1.21846 0.10
H -1.93694 -0.80205 -2.08116 0.09
H 0.95625 -0.22493 -3.12812 0.08
H -1.44550 -1.98863 -0.85765 0.08
H -0.71948 -2.01193 -2.48434 0.08
H 1.34662 1.07357 -1.97822 0.08
H -0.23332 1.04762 -2.76788 0.09
C 0.45562 -0.01608 2.61225 -0.01
C 0.57984 1.36828 2.64823 -0.14
O -0.98394 -0.46855 1.06351 -0.10
H -1.70137 0.03461 1.47135 0.09
H 1.13780 -0.61642 2.02332 0.08
H -0.15711 -0.55092 3.32368 0.09
H 1.53728 1.78548 2.34775 0.08
H 0.12221 1.89446 3.47946 0.07
H 0.01847 1.76002 1.36421 0.10

---

22
Properties=species:S:1:pos:R:3:lowdin_charge:R:1 method="wB97M-V/def2-TZVPD" homo_lumo_gap_ev=10.48 homo_ev=-9.513 smiles=CC(C)(O)N[C@@]1(C)CO1
C 1.76997 -0.57168 -1.77038 -0.02
C 0.97531 -0.55089 -0.46876 -0.62
C 1.74183 0.16951 0.63940 -0.02
O 0.68521 -1.86485 -0.10419 -0.02
N -0.31990 0.18428 -0.76000 0.09
C -1.21812 0.35020 0.30150 -0.46
C -1.17521 1.67804 1.01874 0.00
C -2.45270 -0.45457 0.36924 -0.11
O -1.41350 -0.86808 1.21234 -0.07
H 1.22247 -1.12565 -2.52949 0.08
H 2.72166 -1.06808 -1.60050 0.09
H 1.94285 0.44366 -2.11706 0.09
H 2.67950 -0.35780 0.80214 0.09
H 1.95312 1.19674 0.35673 0.08
H 1.17476 0.15226 1.56752 0.08
H -0.01799 -1.84347 0.62049 0.11
H -0.75952 -0.32196 -1.52195 0.12
H -0.15221 2.05039 1.09562 0.07
H -1.59015 1.56804 2.01103 0.09
H -1.77255 2.40040 0.45010 0.09
H -2.67939 -1.13006 -0.45217 0.12
H -3.31543 -0.03643 0.87967 0.12

---

23
Properties=species:S:1:pos:R:3:lowdin_charge:R:1 method="wB97M-V/def2-TZVPD" homo_lumo_gap_ev=9.15 homo_ev=-8.968
C 1.52804 -3.12225 1.08154 -0.07
N 0.70629 -1.93905 1.21525 0.01
C 0.00650 -1.43196 0.19427 -0.50
O -0.00332 -1.97005 -0.92248 0.03
C -0.78410 -0.17018 0.44443 -0.09
C -0.34960 1.00487 -0.45707 -0.48
C 1.10746 1.40782 -0.19115 -0.06
H 2.36823 -2.93993 0.39693 0.09
H 1.92211 -3.38852 2.06768 0.08
H 0.93932 -3.96413 0.69178 0.09
H 0.71531 -1.43829 2.09224 0.14
H -1.84162 -0.38902 0.23654 0.14
H -0.71382 0.14667 1.49317 0.12
H 1.81180 0.60746 -0.46052 0.08
H 1.34204 2.31922 -0.75699 0.08
H 1.24621 1.63770 0.87511 0.08
O -0.41066 0.59317 -1.81765 -0.03
H -0.59465 -0.35817 -1.86946 0.08
C -2.01075 2.83211 -1.21472 -0.08
O -1.96809 3.18631 0.00716 -0.11
H -2.80088 2.10929 -1.49086 0.10
H -1.30937 3.31373 -1.92245 0.11
H -0.90644 1.95318 0.30727 0.18

---

23
Properties=species:S:1:pos:R:3:lowdin_charge:R:1 method="wB97M-V/def2-TZVPD" homo_lumo_gap_ev=9.15 homo_ev=-8.423 smiles=C[C@H]1NC[C@H](O)[C@@H](O)[C@H]1O
C 2.09819 0.94924 0.48203 -0.03
C 1.19292 0.44901 -0.69721 -0.25
N 0.80913 -0.96607 -0.78959 -0.02
C 0.16466 -1.57099 0.27132 -0.21
C -1.29617 -1.20441 0.39415 -0.36
O -1.92089 -1.81807 -0.66589 -0.02
C -1.35335 0.32930 0.26295 -0.30
O -1.21041 0.68555 1.62245 -0.07
C -0.31680 1.03349 -0.68497 -0.24
O -0.07570 2.42615 -0.37285 -0.05
H 1.70335 0.57783 1.40796 0.06
-- stop --

### Assignment
Now restate the part of the rows above that starts with the line with "-1.21846 0.10" and stops after the one with "0.26295 -0.30".

### Reply
H 1.35114 -1.86820 -1.21846 0.10
H -1.93694 -0.80205 -2.08116 0.09
H 0.95625 -0.22493 -3.12812 0.08
H -1.44550 -1.98863 -0.85765 0.08
H -0.71948 -2.01193 -2.48434 0.08
H 1.34662 1.07357 -1.97822 0.08
H -0.23332 1.04762 -2.76788 0.09
C 0.45562 -0.01608 2.61225 -0.01
C 0.57984 1.36828 2.64823 -0.14
O -0.98394 -0.46855 1.06351 -0.10
H -1.70137 0.03461 1.47135 0.09
H 1.13780 -0.61642 2.02332 0.08
H -0.15711 -0.55092 3.32368 0.09
H 1.53728 1.78548 2.34775 0.08
H 0.12221 1.89446 3.47946 0.07
H 0.01847 1.76002 1.36421 0.10

---

22
Properties=species:S:1:pos:R:3:lowdin_charge:R:1 method="wB97M-V/def2-TZVPD" homo_lumo_gap_ev=10.48 homo_ev=-9.513 smiles=CC(C)(O)N[C@@]1(C)CO1
C 1.76997 -0.57168 -1.77038 -0.02
C 0.97531 -0.55089 -0.46876 -0.62
C 1.74183 0.16951 0.63940 -0.02
O 0.68521 -1.86485 -0.10419 -0.02
N -0.31990 0.18428 -0.76000 0.09
C -1.21812 0.35020 0.30150 -0.46
C -1.17521 1.67804 1.01874 0.00
C -2.45270 -0.45457 0.36924 -0.11
O -1.41350 -0.86808 1.21234 -0.07
H 1.22247 -1.12565 -2.52949 0.08
H 2.72166 -1.06808 -1.60050 0.09
H 1.94285 0.44366 -2.11706 0.09
H 2.67950 -0.35780 0.80214 0.09
H 1.95312 1.19674 0.35673 0.08
H 1.17476 0.15226 1.56752 0.08
H -0.01799 -1.84347 0.62049 0.11
H -0.75952 -0.32196 -1.52195 0.12
H -0.15221 2.05039 1.09562 0.07
H -1.59015 1.56804 2.01103 0.09
H -1.77255 2.40040 0.45010 0.09
H -2.67939 -1.13006 -0.45217 0.12
H -3.31543 -0.03643 0.87967 0.12

---

23
Properties=species:S:1:pos:R:3:lowdin_charge:R:1 method="wB97M-V/def2-TZVPD" homo_lumo_gap_ev=9.15 homo_ev=-8.968
C 1.52804 -3.12225 1.08154 -0.07
N 0.70629 -1.93905 1.21525 0.01
C 0.00650 -1.43196 0.19427 -0.50
O -0.00332 -1.97005 -0.92248 0.03
C -0.78410 -0.17018 0.44443 -0.09
C -0.34960 1.00487 -0.45707 -0.48
C 1.10746 1.40782 -0.19115 -0.06
H 2.36823 -2.93993 0.39693 0.09
H 1.92211 -3.38852 2.06768 0.08
H 0.93932 -3.96413 0.69178 0.09
H 0.71531 -1.43829 2.09224 0.14
H -1.84162 -0.38902 0.23654 0.14
H -0.71382 0.14667 1.49317 0.12
H 1.81180 0.60746 -0.46052 0.08
H 1.34204 2.31922 -0.75699 0.08
H 1.24621 1.63770 0.87511 0.08
O -0.41066 0.59317 -1.81765 -0.03
H -0.59465 -0.35817 -1.86946 0.08
C -2.01075 2.83211 -1.21472 -0.08
O -1.96809 3.18631 0.00716 -0.11
H -2.80088 2.10929 -1.49086 0.10
H -1.30937 3.31373 -1.92245 0.11
H -0.90644 1.95318 0.30727 0.18

---

23
Properties=species:S:1:pos:R:3:lowdin_charge:R:1 method="wB97M-V/def2-TZVPD" homo_lumo_gap_ev=9.15 homo_ev=-8.423 smiles=C[C@H]1NC[C@H](O)[C@@H](O)[C@H]1O
C 2.09819 0.94924 0.48203 -0.03
C 1.19292 0.44901 -0.69721 -0.25
N 0.80913 -0.96607 -0.78959 -0.02
C 0.16466 -1.57099 0.27132 -0.21
C -1.29617 -1.20441 0.39415 -0.36
O -1.92089 -1.81807 -0.66589 -0.02
C -1.35335 0.32930 0.26295 -0.30